Having just come back from a successful and inspiring week in Madrid I can’t help thinking about what I experienced there. And by doing so, I am faced with a wonderful maybe unanswerable question: why is art so powerful? And furthermore: is it, that by touching an inner nerve art reminds us of what really matters? It isn’t that I don’t know how strong an artist can be, but perhaps amidst all the activities and impulses one is confronted with daily, one tends to forget just how important art’s impulses on us are…
Unexpected exhibition

On my first day in Madrid, I experienced such a moment. Purely coincidently, I happened to walk through the Retiro Park and discovered the Reina Sofia‘s external exhibition space, the Palacio de Velázquez. After admiring the building and taking a few photos, I walked in, not knowing what to expect. A most fascinating exhibition of, an unknown to me, Japanese artist was being shown: “Tetsuya Ishida, Self-Portrait of Other“.
Not expecting anything, I observed the inside of the building first. It is a beautiful, very bright and open space… perfect for exhibitions. Then, I started looking at the paintings. Very quickly, I felt disturbed by them. Who is this artist? Why do I get the feeling that the men being portrayed are machine-like human beings? Always the same person, sometimes alone sometimes as a series… More and more I started to reflect and understand that this is what our society is becoming. Men turning into producing machines, men being lost, men in search of their identity… Where has life gone? Questions upon questions springing to my mind…

# 1
Below is crystalline Eu2B5Os3 at its relaxed geometry, with properties calculated at the GGA-PBE level.

Structure (POSCAR):
```
Eu2B5Os3
1.0
5.372 -2.037 0.000
5.372 2.037 0.000
-4.633 0.000 6.615
Eu B Os
2 5 3
Cartesian
0.530 0.000 1.750
5.581 0.000 4.866
-2.199 -0.008 5.374
5.372 0.024 0.000
3.314 -0.911 2.509
2.797 -0.911 4.107
8.310 -0.008 1.241
3.056 1.151 3.308
3.497 0.058 0.632
2.615 0.058 5.984
```

Summary:
**Symmetry**: No. 5
**ΔE_f**: -0.40 eV/atom
**E_tot**: -91.56 eV for the cell shown
**Volume**: 14.5 A^3/atom

---

# 2
Below is crystalline Gd2TiO5 at its relaxed geometry, with properties calculated at the GGA-PBE level.

Structure (POSCAR):
```
Gd2TiO5
1.0
7.552 0.000 0.000
0.000 3.679 0.000
0.000 0.000 15.739
Gd Ti O
8 4 20
Cartesian
0.837 0.920 1.285
1.166 0.920 11.629
2.610 2.759 3.760
2.939 2.759 9.155
4.612 0.920 6.584
4.942 0.920 11.979
6.386 2.759 4.110
6.715 2.759 14.454
0.874 0.920 6.661
2.902 2.759 14.531
4.650 0.920 1.208
6.678 2.759 9.078
0.581 2.759 2.724
0.583 2.759 7.129
0.865 2.759 10.204
1.209 2.759 15.631
1.862 0.920 5.109
1.914 2.759 12.978
2.567 0.920 7.762
2.911 0.920 2.335
3.194 0.920 10.593
3.192 0.920 14.999
4.359 2.759 0.740
4.357 2.759 5.146
4.640 2.759 13.404
4.985 2.759 7.977
5.638 0.920 2.761
5.689 2.759 10.630
6.343 0.920 0.108
6.687 0.920 5.535
6.968 0.920 8.610
6.970 0.920 13.015
```

Summary:
**Symmetry**: No. 62
**Magnetic moment**: 14.000 μB/f.u.
**ΔE_f**: -3.77 eV/atom
**E_tot**: -350.04 eV for the cell shown
**Volume**: 13.7 A^3/atom

~~~~~

Entry from the Materials Project: a geometry-optimized Co2P2O7 structure (meta-GGA r2SCAN).

E   -9.857 eV/atom
Energy above the lowest structure with this stoichiometry   8.4 meV per atom
Calculated volume   235.0 Å³/cell
Magnetic moment   0.00 μB per atom
ΔH_f (0 K)   -22.15 eV per formula unit

Unit cell a=5.2330 b=5.3107 c=8.9397 alpha=97.83 beta=98.24 gamma=103.83
Closest atoms and distances in Å follow each position.
Fractional coordinates of all 22 atoms:
Co  0.6901  0.3123  0.7543  5 O 2.02-2.21
P  0.2204  0.2152  0.9532  4 O 1.52-1.56
O  0.3803  0.3755  0.6064  1 P 1.52
Co  0.3101  0.6878  0.2457  5 O 2.02-2.21
O  0.6162  0.9257  0.6387  1 P 1.52
O  0.0736  0.3737  0.3590  1 P 1.52
P  0.7797  0.7848  0.5468  4 O 1.52-1.56
O  0.3837  0.0746  0.3613  1 P 1.52
O  0.0000  0.9998  0.4999  2 P 1.56
P  0.2202  0.2152  0.4532  4 O 1.52-1.56
Co  0.6899  0.3123  0.2543  5 O 2.02-2.21
O  0.3840  0.0743  0.8615  1 P 1.52
O  0.6196  0.6244  0.8936  1 P 1.52
O  0.0740  0.3736  0.8587  1 P 1.52
Co  0.3100  0.6877  0.7457  5 O 2.02-2.21
O  0.6163  0.9255  0.1387  1 P 1.52
O  0.3804  0.3755  0.1064  1 P 1.52
P  0.7798  0.7849  0.0468  4 O 1.52-1.56
O  0.9261  0.6264  0.6412  1 P 1.52
O  0.6194  0.6244  0.3937  1 P 1.52
O  0.9264  0.6263  0.1410  1 P 1.52
O  0.9998  0.0001  0.9999  2 P 1.56

~~~~~

Li2ZnSiO4: optimized geometry, PBE.

Lattice parameters (Å, degrees): 5.108 10.735 8.088 90.00 128.57 90.00
Space group P2_1/c (No. 14)
# The text goes on
Some paintings were so disturbing I first had to walk away to come back to them later. This artist touched a chord in me, moved something in me so that when walking out in the bright sunshine I was a little dazzled and first had to sit on a bench in the shade before moving on.
Zarzuela magic
A few days later during the dress rehearsal of Doña Francisquita at the Zarzuela Theater in Madrid, I experienced a different powerful moment. A dear friend of mine had managed to get us tickets, knowing that I very much wanted to see a Zarzuela. I had never seen one before and was very curious and excited to discover this typical Spanish Artform. What a wonderful evening it turned out to be. The theatre itself is a jewel, and the music by Amadeo Vives is lively and fun, the piece was premiered in 1923, using a big orchestra with a large guitar section added to it.
The highlight came when the Fandango, probably the most famous dance in this Zarzuela, was about to happen. We had already sat through most of the piece having enjoyed some beautiful singing, some laughter, and some flamenco dancing. Now, in the 3rd Act, one of the protagonists suddenly came up front and spoke to the public directly explaining that the “Maestra” was here and that, totally unexpectedly, she had agreed to play for us the Fandango. My Spanish friend knew straight away who was meant, and was totally in shock and excited as Lucero Tena walked in and stood at the front of the stage waiting for the orchestra to start playing.
Lucero Tena is a legend, and I, although not knowing her until then, quickly found out why. She is now over 90 years old, and even if she doesn’t dance anymore, she most certainly plays the castanets like nobody else. The music she produces, the colours, the dynamics, the expression, the presence is absolutely breathtaking. As I sat there, I just could not believe what I was hearing. The whole audience just went crazy, and the 6 dancers who straight after danced, with their own castanets, the same Fandango, were so energized you couldn’t help but be fully taken in. Incredible!
Personal experience
The last experience I had which reminded me of the power art has, is probably the most personal. Of course, I wasn’t in Madrid just to visit, although that would be a good enough reason to go there. I was also there to perform. It turned out to be a very special performance, as this was also a present for a dear friend of mine’s birthday.
As a musician, one is very much busy thinking about this note or that rhythm, about this sound or that expression, this being together and that tempo… When the performance comes, it is necessary to let it all go, so that the performing can take place. Being an opera singer, I possess a certain amount of stage presence and acting ability. However when singing Lied, such as the Wesendonck Lieder (Richard Wagner) here, the acting becomes unnecessary, the music and especially the text are the most important.
On this evening, when singing “Träume” (the last of the cycle) I became aware of the power of my instrument and of my artistry… It is as if one touches the listener’s inner self through something unexplainable, one moves something inside… One feels the concentration, the silence, the strong emotions coming back from the audience, and really one can’t say how it happened… Quite magical really. And then, when public and performer join in a time of mutual silenced thanks after the last sound has rung, you know that you, as an artist, are important just for that.
Maybe I had, with all my little worries or stresses forgotten how vital and necessary my job and artform is. Not just as a performer, but also as a person. Today’s hectic competitive life often doesn’t allow us to remember this enough. But really without art, we become machines… just as in Tetsuya Ishida’s paintings. Maybe that is why these paintings were so disturbing and moving for me. It is vital to have such artists, reminding us of what is important: being a human being who feels and not a machine which produces.

Ma chère Gillian.
Tu as de nouveau rédigé cet article avec simplicité,ouverture d’esprit,emmerveillement,trés explicite et discrètement ammené afin de nous dévoiler tes opinions.
• These data records were left in the piece by mistake:
ScSi7Rh3: relaxed, PBE-GGA.

Total moment (μB per formula unit): 0.000
Formation energy from the elements (eV per atom): -0.647
Final energy (eV/atom): -6.68
Space group: No. 167

a = 7.921 Å, b = 7.921 Å, c = 7.921 Å
α = 57.08°, β = 57.08°, γ = 57.08°
Fractional positions:
Sc1 0.000 0.000 0.000
Sc2 0.500 0.500 0.500
Si1 0.750 0.750 0.750
Si2 0.250 0.250 0.250
Si3 0.852 0.066 0.672
Si4 0.672 0.852 0.066
Si5 0.066 0.672 0.852
Si6 0.648 0.828 0.434
Si7 0.434 0.648 0.828
Si8 0.828 0.434 0.648
Si9 0.172 0.566 0.352
Si10 0.566 0.352 0.172
Si11 0.352 0.172 0.566
Si12 0.934 0.328 0.148
Si13 0.328 0.148 0.934
Si14 0.148 0.934 0.328
Rh1 0.072 0.428 0.750
Rh2 0.250 0.928 0.572
Rh3 0.572 0.250 0.928
Rh4 0.928 0.572 0.250
Rh5 0.428 0.750 0.072
Rh6 0.750 0.072 0.428

Ce4MgRh: relaxed, PBE-GGA.

Total moment (μB per formula unit): 4.267
Formation energy from the elements (eV per atom): -0.189
Final energy (eV/atom): -5.64
Space group: No. 216

a = 9.775 Å, b = 9.775 Å, c = 9.775 Å
α = 60.00°, β = 60.00°, γ = 60.00°
Fractional positions:
Ce1 0.349 0.349 0.349
Ce2 0.349 0.349 0.954
Ce3 0.349 0.954 0.349
Ce4 0.954 0.349 0.349
Ce5 0.809 0.191 0.191
Ce6 0.191 0.809 0.809
Ce7 0.191 0.809 0.191
Ce8 0.809 0.191 0.809
Ce9 0.191 0.191 0.809
Ce10 0.809 0.809 0.191
Ce11 0.937 0.563 0.563
Ce12 0.563 0.937 0.937
Ce13 0.563 0.937 0.563
Ce14 0.937 0.563 0.937
Ce15 0.563 0.563 0.937
Ce16 0.937 0.937 0.563
Mg1 0.581 0.581 0.581
Mg2 0.581 0.581 0.258
Mg3 0.581 0.258 0.581
Mg4 0.258 0.581 0.581
Rh1 0.141 0.141 0.141
Rh2 0.141 0.141 0.576
Rh3 0.141 0.576 0.141
Rh4 0.576 0.141 0.141

Cr19S30: relaxed, PBE-GGA.

Total moment (μB per formula unit): 53.999
Formation energy from the elements (eV per atom): -0.974
Final energy (eV/atom): -6.94
Space group: No. 2

a = 8.881 Å, b = 10.396 Å, c = 10.735 Å
α = 80.86°, β = 72.46°, γ = 67.15°
Fractional positions:
Cr1 0.797 0.103 0.798
Cr2 0.000 0.500 0.000
Cr3 0.203 0.897 0.202
Cr4 0.604 0.700 0.602
Cr5 0.396 0.300 0.398
Cr6 0.022 0.822 0.986
Cr7 0.224 0.229 0.189
Cr8 0.416 0.633 0.384
Cr9 0.796 0.436 0.803
Cr10 0.620 0.028 0.585
Cr11 0.978 0.178 0.014
Cr12 0.204 0.564 0.197
Cr13 0.380 0.972 0.415
Cr14 0.776 0.771 0.811
Cr15 0.584 0.367 0.616
Cr16 0.293 0.102 0.803
Cr17 0.106 0.696 0.602
Cr18 0.894 0.304 0.398
Cr19 0.707 0.898 0.197
S1 0.207 0.266 0.968
S2 0.005 0.865 0.768
S3 0.802 0.465 0.570
S4 0.603 0.066 0.366
S5 0.404 0.670 0.168
S6 0.009 0.200 0.780
S7 0.818 0.794 0.576
S8 0.610 0.397 0.377
S9 0.415 0.995 0.180
S10 0.213 0.594 0.974
S11 0.207 0.943 0.973
S12 0.004 0.545 0.773
S13 0.811 0.143 0.568
S14 0.607 0.748 0.372
S15 0.413 0.339 0.174
S16 0.397 0.934 0.634
S17 0.198 0.535 0.430
S18 0.995 0.135 0.232
S19 0.793 0.734 0.032
S20 0.596 0.330 0.832
S21 0.585 0.005 0.820
S22 0.390 0.603 0.623
S23 0.182 0.206 0.424
S24 0.991 0.800 0.220
S25 0.787 0.406 0.026
S26 0.393 0.252 0.628
S27 0.189 0.857 0.432
S28 0.996 0.455 0.227
S29 0.793 0.057 0.027
S30 0.587 0.661 0.826

Q: Which of these has the lowest final energy?
A: Cr19S30

* * * * *
• End of the data records:
Tu partages tes sensations et émotions librement et c’est un plaisir de voyager,réfléchir, avec toi.
Je t’embrasse fort.
# The entry is interrupted by materials data
~~~
The following is a DFT calculation (meta-GGA r2SCAN) of an optimized crystal structure of MnO2.

Calculated values
Size of the total moment, μB/f.u.: 3.0
Space group: R-3m (166)
ΔH_f (0 K), eV/atom: -1.975
E, eV for the cell shown: -32.55

Lattice parameters (Å, degrees): 4.8717 4.8717 4.8717 34.10 34.10 34.10
With the nearest neighbours (Å) after each atom.
Fractional positions:
Mn  0.0000  0.0000  0.0000  6 O 1.90
O  0.2644  0.2644  0.2644  3 Mn 1.90
O  0.7356  0.7356  0.7356  3 Mn 1.90



The following is a DFT calculation (meta-GGA r2SCAN) of an optimized crystal structure of Pr3InO.

Calculated values
Size of the total moment, μB/f.u.: 0.0
Space group: Pm-3m (221)
ΔH_f (0 K), eV/atom: -1.564
E, eV for the cell shown: -124.58

Lattice parameters (Å, degrees): 5.0139 5.0139 5.0139 90.00 90.00 90.00
With the nearest neighbours (Å) after each atom.
Fractional positions:
Pr  0.0000  0.0000  0.5000  2 O 2.51
Pr  0.0000  0.5000  0.0000  2 O 2.51
Pr  0.5000  0.0000  0.0000  2 O 2.51
In  0.5000  0.5000  0.5000  12 Pr 3.55
O  0.0000  0.0000  0.0000  6 Pr 2.51



The following is a DFT calculation (meta-GGA r2SCAN) of an optimized crystal structure of KYH4C4O9.

Calculated values
Size of the total moment, μB/f.u.: 2.0
Space group: P1 (1)
ΔH_f (0 K), eV/atom: -1.283
E, eV for the cell shown: -158.07

Lattice parameters (Å, degrees): 6.3449 6.5786 6.7975 108.75 112.39 103.02
With the nearest neighbours (Å) after each atom.
Fractional positions:
K  0.0000  0.0000  0.0000  4 O 2.54-2.74
Y  0.8188  0.3121  0.5528  8 O 2.30-2.44
H  0.2347  0.5867  0.3182  1 C 1.10
H  0.4264  0.6841  0.8298  1 C 1.10
H  0.4341  0.1438  0.8831  1 C 1.10
H  0.7962  0.7063  0.2589  1 C 1.10
C  0.1939  0.5999  0.1520  1 H 1.10
C  0.4224  0.5202  0.7122  1 H 1.10
C  0.5366  0.1882  0.0738  1 H 1.10
C  0.8790  0.7838  0.4548  1 H 1.10
O  0.0432  0.4219  0.9560  1 C 1.26
O  0.2155  0.3493  0.5749  1 C 1.26
O  0.2997  0.7961  0.1659  1 C 1.27
O  0.4753  0.2993  0.2174  1 C 1.26
O  0.4941  0.0308  0.5379  1 O 2.13, 1 Y 2.38
O  0.6297  0.5240  0.7306  1 C 1.27
O  0.7151  0.1255  0.1451  1 C 1.27
O  0.8847  0.9819  0.5619  1 C 1.26
O  0.9631  0.6686  0.5583  1 C 1.26



The following is a DFT calculation (meta-GGA r2SCAN) of an optimized crystal structure of HgF2.

Calculated values
Size of the total moment, μB/f.u.: 0.0
Space group: Fm-3m (225)
ΔH_f (0 K), eV/atom: -1.573
Energy relative to the lowest polymorph listed for this composition, eV per atom: 0.0000
E, eV for the cell shown: -60.34

Lattice parameters (Å, degrees): 3.9289 3.9289 3.9289 60.00 60.00 60.00
With the nearest neighbours (Å) after each atom.
Fractional positions:
Hg  0.0000  0.0000  0.0000  8 F 2.41
F  0.2500  0.2500  0.2500  4 Hg 2.41
F  0.7500  0.7500  0.7500  4 Hg 2.41



The following is a DFT calculation (meta-GGA r2SCAN) of an optimized crystal structure of Pr3Ga2Ni6.

Calculated values
Size of the total moment, μB/f.u.: 0.8
Space group: Im-3m (229)
ΔH_f (0 K), eV/atom: -0.397
~~~
Merci beaucoup ma chère Séverine pour ton beau message!
Quel joie de lire que mes articles te donnent tant de plaisir. Merci.
Gros bisous,